4.5 Output Text Box

The Outbox class is derived from two base classes - display and object. It is a kind of a text window for messages. Of course it is not a fully-fledged text window. You hardly can use Outbox for editing files. But it suits well for outputting text information for various purposes. The more complete text window may be derived from Outbox and will be included in the following versions of Virtual Panels.

* Background mode. It is a mode supported by Outbox printing method. If the background mode is on then printing the new text over the old one will purge away the latter. If it is off (transparent mode) then the new text will be printed over the old one without background. This mode works only if the current mode of text justification is LEFT_TEXT. For other text justifications background mode is always off.


int x0, int y0, // coord. of LEFT-TOP corner of Indicator
objtype type, // may be FIXED, PERM, POPUP
char * title, // title of Outbox
int colomns, int rows,// size of box in characters
//———- Hereafter are defaults
int frame = FRAMED, // display may FRAMED or UNFRAMED
// procedure supplied by programmer to repaint Outbox
void (far * paintproc)() = procNULL,
// font
int titlefont = 0, int titlefontsize = 1,// of title
int textfont = SMALL_FONT, int textfontsize = 5,// of text
// colors
plaquecolors obxcolcnfg = plaquecoldflt,// of frame
outboxcolors obxcolors = obxcoldflt, // of display
int titlejustify = CENTER_TEXT); // for system use

Most of parameters of constructor are typical for Objects. About color schemes see the corresponding subsection below.

Data members:

All are inherited from the object base class ( See sect. 4 ).


Includes methods inherited from the object base class ( sect.4 )

-- Attached: data records --
{
  "formula": "Pr3Sn3Au",
  "functional": "PBE",
  "state": "relaxed",
  "delta_e_f_ev_per_atom": -0.7847,
  "lattice_angstrom": [[-4.6931, 0.0813, 0.3143], [-2.3476, -5.6154, 1.6034], [-1.3451, 2.9878, 14.3490]],
  "species": ["Sn", "Au", "Pr", "Pr", "Pr", "Pr", "Pr", "Pr", "Sn", "Sn", "Sn", "Au", "Sn", "Sn"],
  "fractional_positions": [[0.9803, 0.8088, 0.2305], [0.2350, 0.9170, 0.6130], [0.5291, 0.3229, 0.6189], [0.6003, 0.7226, 0.0769], [0.2627, 0.2457, 0.2288], [0.3997, 0.2774, 0.9231], [0.4709, 0.6771, 0.3811], [0.7373, 0.7543, 0.7712], [0.1394, 0.2649, 0.4564], [0.1241, 0.8274, 0.9245], [0.0197, 0.1912, 0.7695], [0.7650, 0.0830, 0.3870], [0.8759, 0.1726, 0.0755], [0.8606, 0.7351, 0.5436]]
}


{
  "formula": "Dy4HoTh2",
  "functional": "PBE",
  "state": "relaxed",
  "delta_e_f_ev_per_atom": 0.1147,
  "lattice_angstrom": [[3.4574, 0.2247, 0.2750], [-1.4740, 7.5894, -3.4602], [0.6579, -0.8003, 8.8822]],
  "species": ["Dy", "Dy", "Ho", "Th", "Th", "Dy", "Dy"],
  "fractional_positions": [[0.0475, 0.8356, 0.2828], [0.3567, 0.7242, 0.5779], [0.0000, 0.0000, 0.0000], [0.4133, 0.4140, 0.1326], [0.5867, 0.5860, 0.8674], [0.6433, 0.2758, 0.4221], [0.9525, 0.1644, 0.7172]]
}


{
  "formula": "Ba2USbS6",
  "functional": "PBE",
  "state": "relaxed",
  "formation_energy_uncorrected_kj_per_mol_atoms": -129,
  "lattice_angstrom": [[5.2242, 0.0000, 0.0000], [0.0000, 5.2242, 0.0000], [0.0000, 0.0000, 10.3874]],
  "species": ["U", "S", "S", "S", "Sb", "S", "S", "Ba", "S", "Ba"],
  "fractional_positions": [[0.5000, 0.5000, 0.0000], [0.0000, 0.5000, 0.0000], [0.5000, 0.0000, 0.5000], [0.5000, 0.0000, 0.0000], [0.5000, 0.5000, 0.5000], [0.5000, 0.5000, 0.7551], [0.0000, 0.5000, 0.5000], [0.0000, 0.0000, 0.2787], [0.5000, 0.5000, 0.2449], [0.0000, 0.0000, 0.7213]]
}


Calculated V in order - 398.6, 224.9, 283.5 Å³/cell
Calculated total moment in order - 0.0000, 0.0000, 0.1128 μB/atom
Calculated calculated total energy in order - -5.02, -5.29, -5.74 eV per atom

=====

Cs2TiAuF6: optimized geometry, PBE.

Lattice parameters (Å, degrees): 6.8065 6.8065 6.7962 59.95 59.95 90.00
Last column: nearest neighbours and their distance in Å.
Atoms (fractional coordinates):
Cs 0.7500 0.2500 0.5000  12 F 3.44
Cs 0.2500 0.7500 0.5000  12 F 3.44
F 0.3025 0.3025 0.3951  1 Ti 1.90
F 0.6975 0.6975 0.6049  1 Ti 1.90
F 0.3030 0.3030 0.0000  1 Ti 1.90
F 0.6970 0.6970 0.0000  1 Ti 1.90
F 0.6970 0.3030 0.0000  1 Ti 1.90
F 0.3030 0.6970 0.0000  1 Ti 1.90
Au 0.0000 0.0000 0.0000  6 F 2.90-2.92
Ti 0.5000 0.5000 0.0000  6 F 1.90

Computed properties:
The total energy comes out at -5.0516 eV/atom. For the spin magnetization, the calculation gives 1.0 μB per cell. The uncorrected formation energy comes out at -2.64 eV/atom.

=====

Model P:
The following is a DFT calculation (GGA-PBEsol) of a relaxed structure of InHg2Te.

Properties
**D(E_F)**: 6.8 states/eV per cell
**Mass density**: 10.4 Mg/m³

Cell: 3.2755 3.2755 33.2368 Å, 90.00 90.00 120.00°
Space group R3m (No. 160, hexagonal axes)

virtual void Paint(void);

Paints Outbox clears display, and resets current printing position (it will be at the LEFT-TOP corner of display). Text justification will be LEFT_TEXT.

void SetTextJustify( text_just xtextjust = LEFT_TEXT);

Justifies text in the x-direction and performs Line Feed (LF). The xtextjust may be LEFT_TEXT, CENTER_TEXT or RIGHT_TEXT.

virtual void cls();

Clears display, and resets the current printing position.

void GotoXY( int column, int row);

Moves the printing position to the column and row. If row = -1 then the printing position moves to the bottom of the display.

void GetXY(int * column,int * row);

Gets the current printing position.

void SetTextColor( COLORS newcolor);

Changes current text foreground color to the newcolor.

void SetHLTextColor(COLORS newHighLightcolor);

Changes current highlight text color to the newHighLightcolor.

void YesBkgnd(void);
void NoBkgnd(void);

Data records, kept here for reference
Entry from Alexandria via LeMat-Bulk: a geometry-optimized La6Ir3N structure (GGA-PBE).

Output
total moment: 0.00 μB/f.u.
Fermi-level density of states: 13.80 states/eV/cell
raw formation energy: -754.2 meV/atom
total DFT energy (no corrections): -7.20 eV per atom
theoretical density: 8.87 g/cm3

Unit cell a=6.877 b=7.505 c=12.300 alpha=90.00 beta=122.85 gamma=90.00
Space group P2_1/c (No. 14)
Inequivalent atoms, fractional coordinates:
La (0.097, 0.190, 0.433) [4 per cell]
La (0.232, 0.669, 0.427) [4 per cell]
La (0.376, 0.054, 0.237) [4 per cell]
Ir (0.207, 0.101, 0.746) [4 per cell]
Ir (0.500, 0.000, 0.500) [2 per cell]
N (0.000, 0.000, 0.000) [2 per cell]

Switches background mode on or off.

void Put( char *text, int highlight = OFF);
void Putn( char *text, int highlight = OFF);

Prints a string. String is highlighted if highlight = ON. Putn also performs carriage return.

int Printf( int hilight, const char *format, ...);
int Printfn( int hilight, const char *format, ...);

Send formatted output to Outbox. Behave exactly like printf, except for they don't accept control characters. Text is highlighted if highlight = ON. Printfn also performs carriage return.

Color schemes:

Color pattern for the Outbox class is provided by the structure:

struct outboxcolors { COLORS
                        hltext, // highlighted text
                        paper; };

Default color scheme is:

const outboxcolors obxcoldflt =
                   { RED, WHITE, YELLOW, LIGHTGRAY };
                // title   text  hltext      paper

For Error Message Box you can use a color scheme defined in the header file:

const plaquecolors  errboxcolors = { RED, RED, LIGHTRED };
const outboxcolors  errcolors = { WHITE, WHITE, YELLOW, RED };

See Example 3.1.2, where the use of the Outbox and its methods is illustrated.